**Work order:**
Could you work out how many lines further below have the word "gamma" in them; a number is enough?

**File:**
Density functional theory data (GGA-PBE) for a relaxed structure of CsMg4Al9Si9O36.

Symmetry   P1, No. 1
Electronic total energy   -438.18 eV/cell
Magnetization   0.01 μB/f.u.
Corrected total energy (MP2020 scheme)   -7.846 eV per atom

Unit cell a=9.520 b=9.862 c=9.888 alpha=60.34 beta=90.00 gamma=89.98
Positions (direct):
Cs: 0.000 0.000 0.000
Mg: 0.491 0.335 0.317
Mg: 0.491 0.667 0.661
Mg: 0.996 0.335 0.316
Mg: 0.996 0.667 0.661
Al: 0.244 0.115 0.256
Al: 0.244 0.631 0.100
Al: 0.492 0.497 0.996
Al: 0.492 0.502 0.491
Al: 0.494 0.001 0.491
Al: 0.743 0.260 0.101
Al: 0.992 0.001 0.490
Al: 0.994 0.498 0.995
Al: 0.995 0.502 0.490
Si: 0.242 0.735 0.372
Si: 0.243 0.269 0.616
Si: 0.243 0.378 0.880
Si: 0.243 0.897 0.723
Si: 0.743 0.102 0.625
Si: 0.743 0.373 0.724
Si: 0.743 0.624 0.260
Si: 0.743 0.731 0.889
Si: 0.743 0.886 0.372
O: 0.094 0.142 0.343
O: 0.094 0.517 0.131
O: 0.100 0.344 0.512
O: 0.101 0.489 0.849
O: 0.101 0.866 0.644
O: 0.102 0.650 0.485
O: 0.238 0.233 0.054
O: 0.238 0.697 0.233
O: 0.238 0.918 0.307
O: 0.239 0.786 0.907
O: 0.241 0.081 0.684
O: 0.241 0.309 0.758
O: 0.384 0.651 0.483
O: 0.385 0.487 0.850
O: 0.385 0.866 0.645
O: 0.386 0.345 0.512
O: 0.391 0.516 0.131
O: 0.393 0.142 0.344
O: 0.597 0.348 0.131
O: 0.601 0.518 0.338
O: 0.601 0.656 0.857
O: 0.603 0.130 0.520
O: 0.603 0.483 0.643
O: 0.603 0.856 0.482
O: 0.746 0.228 0.687
O: 0.746 0.699 0.070
O: 0.746 0.765 0.302
O: 0.746 0.922 0.774
O: 0.748 0.058 0.227
O: 0.748 0.301 0.908
O: 0.884 0.130 0.521
O: 0.884 0.483 0.642
O: 0.884 0.855 0.483
O: 0.885 0.518 0.337
O: 0.885 0.656 0.857
O: 0.890 0.347 0.130

***

Density functional theory data (GGA-PBE) for a relaxed structure of Hg3H4S2O11.

Symmetry   C2/c, No. 15
Electronic total energy   -192.93 eV/cell
Magnetization   0.00 μB/f.u.
Corrected total energy (MP2020 scheme)   -5.201 eV per atom

Unit cell a=5.827 b=5.827 c=14.813 alpha=95.58 beta=95.58 gamma=102.90
Positions (direct):
Hg: 0.000 0.500 0.000
Hg: 0.183 0.315 0.351
Hg: 0.315 0.183 0.851
Hg: 0.500 0.000 0.500
Hg: 0.685 0.817 0.149
Hg: 0.817 0.685 0.649
H: 0.177 0.643 0.212
H: 0.220 0.596 0.852
H: 0.357 0.823 0.288
H: 0.404 0.780 0.648
H: 0.596 0.220 0.352
H: 0.643 0.177 0.712
H: 0.780 0.404 0.148
H: 0.823 0.357 0.788
S: 0.125 0.308 0.605
S: 0.308 0.125 0.105
S: 0.692 0.875 0.895
S: 0.875 0.692 0.395
O: 0.084 0.750 0.466
O: 0.114 0.445 0.863
O: 0.117 0.129 0.669
O: 0.129 0.117 0.169
O: 0.132 0.552 0.661
O: 0.250 0.916 0.034
O: 0.332 0.668 0.250
O: 0.349 0.349 0.062
O: 0.349 0.349 0.562
O: 0.445 0.114 0.363
O: 0.448 0.868 0.839
O: 0.552 0.132 0.161
O: 0.555 0.886 0.637
O: 0.651 0.651 0.438
O: 0.651 0.651 0.938
O: 0.668 0.332 0.750
O: 0.750 0.084 0.966
O: 0.868 0.448 0.339
O: 0.871 0.883 0.831
O: 0.883 0.871 0.331
O: 0.886 0.555 0.137
O: 0.916 0.250 0.534

***

Density functional theory data (GGA-PBE) for a relaxed structure of K3InP2.

Symmetry   Ibam, No. 72
Electronic total energy   -38.26 eV/cell

Unit cell a=8.947 b=8.947 c=8.947 alpha=128.97 beta=70.56 gamma=134.75
Positions (direct):
K: 0.184 0.701 0.885
K: 0.250 0.250 0.000
K: 0.316 0.201 0.517
K: 0.684 0.799 0.483
K: 0.750 0.750 0.000
K: 0.816 0.299 0.115
In: 0.250 0.750 0.500
In: 0.750 0.250 0.500
P: 0.097 0.310 0.407
P: 0.403 0.810 0.213
P: 0.597 0.190 0.787
P: 0.903 0.690 0.593

***

Density functional theory data (GGA-PBE) for a relaxed structure of Na4HfMgSiP2O12.

Symmetry   Cc, No. 9
Electronic total energy   -876.27 eV/cell
Magnetization   0.00 μB/f.u.
Corrected total energy (MP2020 scheme)   -7.347 eV per atom

Unit cell a=9.113 b=9.113 c=22.246 alpha=90.14 beta=90.14 gamma=59.87
Positions (direct):
Na: 0.130 0.870 0.500
Na: 0.132 0.484 0.005
Na: 0.144 0.794 0.170
Na: 0.153 0.526 0.669
Na: 0.154 0.157 0.421
Na: 0.157 0.154 0.921
Na: 0.195 0.819 0.838
Na: 0.197 0.473 0.331
Na: 0.461 0.813 0.335
Na: 0.473 0.197 0.831
Na: 0.477 0.863 0.999
Na: 0.484 0.132 0.505
Na: 0.485 0.497 0.254
Na: 0.497 0.485 0.754
Na: 0.526 0.153 0.169
Na: 0.530 0.806 0.666
Na: 0.794 0.144 0.670
Na: 0.806 0.530 0.166

**Solution:**
4